NorthShore Slavery


_____, wid., Aug. 17, 1820. [a. 85 y. CR]

Esther [pulmonic consumption. CR], Apr. 10, 1818. [a. 18 y. CR]

Fanny Burke, d. David, Feb. 26, 1801.

Hulda, d. David, hydrocephalus, Feb. 26, 1801, a. 6 y. CR

Mary F[aulkner. CR], d. Lt. Dennison [and Mary Elizabeth. GR1], June 27, 1837. [a. 9 m. CR]

[Mary Elizabeth. CR], d. Dennison [and Mary Elizabeth. GR1], throat distemper and scarlet fever, Apr. 19, 1839, a. 1 y.


Martha, b. Hamilton or Danvers, w. George, at Ipswich, Dec. 26, 1845, a. 27 y.

Susanna, Mrs., cancer, May 21, 1841, a. 86 y.


[George. CR], of Newburyport, "committed suicide in this town," abt. Nov. 1, 1827. [a. abt. 45 y. CR]


_____, d. Dea. Matthew [chin cough, measles and fever. CR], Feb. 17, 1797, a. 4 y.

_____, inf. ch. [stillborn. CR], Samuel, May 26, 1798.

_____, wid. Capt. John, very sudden, Sept. 18, 1807, a. 87 y. CR

_____, s. stillborn, Daniel, Nov. 12, 1829.

Catharine, w. William [consumption. CR], Jan. 15, 1829, a. 78 y. [a. 75 y. CR; a. 74 y. PR3]

Betsy, w. Dea. Matthew, fever, July 31, 1830, a. 66 y.

Elizabeth, d. Nathaniel, old age, senility, Apr. 25, 1849, a. 87 y.

Ephraim, farmer, s. William, inflammation of the bowels, May 1, 1843, a. 18 1/2 y.

Ephraim D., b. Ipswich, s. Daniel, dropsy in the head or hydrocephalus, Oct. 5, 1845, a. 1 y. 1 m.

Eunic, d. John, 4th, angina maligna, Dec. 2, 1794, a. 12 y. CR

Hannah, unm. [fever. CR], Oct. 28, 1821. [a. 75 y. CR]

Hannah, w. Daniel [consumption. CR], Dec. 20, 1833, a. 27 y.

James O., m., farmer, s. Oliver and Mary, dropsy, July 7, 1846, a. 24 y.

James O., jr. s. James and Lucy, Jan. 15, 1848, a. 1 y. 2 m.

John, s. William [pulmonic consumption. CR], Jan. 12, 1797, a. 18 y.

John, jr. --- --, 1805.

John, jr., lung fever, Jan. 21, 1806, a. 58 y. CR

John, Capt. [lung fever. CR], May 28, 1832, a. 89 y.

Jonathan [colic. CR], Sept. 18, 1816. [a. 61 y. CR]

Lucinda, d. Oliver, jr. [and Polly. CR], May 3, 1831, a. 2 y.

Lydia, w. Oliver, consumption, Dec. 16, 1843, a. 42 y.

Martha, wid. [paralytic old age. CR], Jan. 20, 1798, a. 86 y.

Martha, w. Capt. John, [angina pectoris. CR], Mar. 27, 1816. [a. 75 y. CR]

Martha D., w. William, throat distemper, Apr. 23, 1843, a. 62 y.

Martha, wid., old age, senility, Nov. 23, 1848, a. 93 y. 12 d.

Mary, wid. Dea. Nathanial, fever, Mar. 2, 1810, a. 86 y. CR

Mary, unm., "strangled by taking a piece of meat into the mouth," Nov. 29, 1838, a. 94 y.

Mary Elizabeth, d. Oliver, and d. adopted, John Tuttle, fever, Mar. 29, 1844, a. 14 y. 8 m.

_Attached: crystal structures_
Structure and simulated powder diffractogram of PaAlCu2 (a GGA-PBE-relaxed structure; CuKα).
Peak positions follow from Bragg's law for the DFT cell and can differ from measured ones.

Main lines, most intense first (2θ = 15–90°):
hkl  two_theta  d (Å)  I/Imax
2 2 0  39.02  2.308  100
1 1 1  23.60  3.770  61
4 2 2  70.68  1.333  34
3 1 1  46.11  1.969  33
4 0 0  56.37  1.632  17
3 3 1  61.95  1.498  14
5 3 1  88.62  1.104  11
4 4 0  83.82  1.154  11
5 1 1  75.69  1.257  11
2 0 0  27.32  3.265  10
4 2 0  63.75  1.460  5
2 2 2  48.29  1.885  3

Atomic structure:
```
data_PaAlCu2
_chemical_formula_sum 'Pa4 Al4 Cu8'
_cell_length_a 6.5291
_cell_length_b 6.5291
_cell_length_c 6.5291
_cell_angle_alpha 90.00
_cell_angle_beta 90.00
_cell_angle_gamma 90.00
_symmetry_space_group_name_H-M 'F m -3 m'
_symmetry_Int_Tables_number 225
_symmetry_space_group_name_Hall '-F 4 2 3'
loop_
_atom_site_label
_atom_site_type_symbol
_atom_site_fract_x
_atom_site_fract_y
_atom_site_fract_z
Pa1 Pa 0.0000 0.0000 0.0000
Al1 Al 0.0000 0.0000 0.5000
Cu1 Cu 0.2500 0.2500 0.2500
```

Matthew, Esq., at Gloucester, Dec. 28, 1840, a. 76 y.

Nathaniel, Dea. [fever. CR], Dec. 19, 1809, a. 89 y.

Nathaniell, "caused by a fall about 8 days before his death," May 11, 1834. [a. 55 y. CR]

Oliver, widr., farmer, s. William, consumption, May 13, 1847, a. 58 y. [a. 69 y. CR]

Sally, w. Oliver, consumption, Aug. 20, 1830, a. 32 y.

Sarah, d. William, consumption, Aug. 5, 1837, a. 18 y.

Susanna [consumption. CR], Dec. 13, 1819. [a. 70 y. CR]

William A., s. Edward, consumption, Apr. 2, 1833, a. 19 y.

William, fever, May 27, 1835. [a. 87 y. CR]

William H[arrison. CR], s. James and Lucy, dysentery, Jan. 14, 1848, a. 2 y. 9 m.

William, s. Daniel, Oct. 26, 1848, a. 10 d. GR1


_____, s. William, atrophia infantilis, Aug. 11, 1796, a. 9 d. CR

Dolly, Mrs., consumption, Dec. 10, 1843, a. 34 y. [a. 54 y. CR]

George [nervous fever. CR], Oct. 29, 1824, a. 25 y.

Martha, wid. William, pauper, influenza, Mar. 9, 1842, a. 82 y.

Walter, Nov. 16, 1824. [a. 25 y. CR]

William, "a pauper," June 26, 1834. [a. 89 y. CR]

WHITTREDGE (Whitridge)

Eunice, wid. John, palsy, Nov. 11, 1845, a. 69 y.

John [consumption. CR], Nov. 17, 1824. [a. 78 y. CR]

John [apopletic fit. CR], Mar. 4, 1830, a. 56 y.

Lucy [bowel complaint. CR], Jan. 7, 1816. [a. 16 y. CR]

[Lucy. CR], wid. John [dysentery. CR], Sept. 7, 1828, a. 77 y.


_____, 2d w. Rev. Samuel, at Newburyport, --- --, 1784, a. 89 y.

[Mary. GR1], w. Rev. Samuel, June 6, 1723, a. 28 y. [Dec. 9. GR1]

Samuel, Rev., Sept. 3, 1768, in his 80th y.


Harry, s. Abijah [quinsy. CR], Dec. 9, 1798. [a. 17 m. CR]


_____, s. Isaac [angina maligua. CR], Nov. 17, 1796, a. 17 m.

_____, w. Benjamin, chronic, Feb. 29, 1808, a. 92 y. CR

_____, inf. ch. Thomas, May 19, 1808. [May 16, a "few hours. " CR]

Andrew, "yellow fever in the West Indies," Feb. 19, 1795, a. 20 y. CR

Andrew [liver complaint. CR], Oct. 15, 1834. [a. 67 y. CR]

Anna, d. Isaac [consumption CR], Sept. --, 1802. [ Sept. 9, a. 19 y. CR]

Asa, in the West Indies, Oct. 23, 1800, a. 22 y.

Dudly, s. William, colic, Aug. 21, 1796, a. 12 y. CR

Edmund, at the West Indies, Dec. --, 1793, a. 20 y. CR

Elisabeth, w. Capt. John, [dysentery. CR], Sept. 16, 1824. [a. 55 y. CR]

Betsy, w. Nicholas, consumption, Dec. 30, 1830, a. 59 y.

Fred A., s. George, consumption or disease of the heart, Nov. 9, 1848, a. 20 y.

Hepzibath, w. John, [dysentery. CR]. Sept. 17, 1796, a. 48 y.

Isaac, s. John, jr. [scarletina. CR], Dec. --, 1803, a. 3 y. [Dec. 19, a. 4 y. CR]

Isaac, s. Nicholas, worm fever, Jan. 26, 1810, a. 6 y. CR

Isaac [angina pectoris. CR], July 29, 1815. [a. 82 y. CR]

Isaac [very sudden, in a fit. CR], Nov. 6, 1815. [a. 77 y. CR]

Isaac, s. Nicholas, consumption, May 2, 1842, a. 32 y.

Jemima, unm., consumption, May 7, 1842, a. 74 y.

John [asthma and dysentery. CR], Oct. 3, 1825. [a. 83 1/2 y. CR]

Joseph [influenza. CR], Oct. 6, 1841, a. 76 y.

Lydia, d. Capt. John, "debility, caused by a fall 30 yrs. before," Mar. 8, 1840, a. 46 y.

Lydia, wid. Andrew, fever, Jan. 14, 1845, a. 79 y.

Marcia, w. John, sudden, Mar. 4, 1841. [a. 71 y. CR]

Mary, w. William, dropsy and fever, Aug. 9, 1796, a. 45 y. CR

Mehetable, Mrs., Feb. 20, 1841, a. 86 y.

Marcy, Miss, Apr. 12, 1838. [a. 74 y. CR]

Nicholas [pulmonic consumption. CR], May 24, 1797, a. 42 y.

Nicholas, wheelwright, s. Isaac, palsy, Apr. 19, 1847, a. 77 y. 5 m.

Rachel, Mrs. [dysentery. CR], Sept. 23, 1824. [a. 36 y. CR]

Sophia [consumption. CR], Oct. 1, 1819. [a. 24 y. CR]

Thomas, at sea, Dec. --, 1809, a. 29 y. CR

William ["asthma & waisting of ye flesh - perhaps of ye Hepatic or pulmonary Glands, long standing. " CR], Jan. 20, 1797, a. 57 y.

William, Mar. 26, 1801, a. 20 y.